Monday, December 29, 2008

First things first, this post will probably be something I'll be writing in all day. So please excuse how long or scattered my topics may be or seem!

Last night I went to see The Curious Case of Benjamin Button. Not to spoil anything, it's about a man, Benjamin Button, who is ages backwards. So he is born an old man and continuously gets younger as time passes. I found it very interesting and it was a three hour movie but it didn't seem that long at all.

Throughout the entire movie there life lessons scattered all about. Lessons that I guess would make you want to appreciate life.

The message I got from one of Benjamin's narrations was to live life as you choose. If you choose to stay the same or choose to change it is all alright and that we have our whole lives. While he is speaking it portrays Benjamin all around the world doing all sorts of jobs. Some jobs not as prestigious as the last but for some reason it was respectable to me. Of course this message to me was huge as I'm sure it'd be huge to anyone else with my mind set. But of course the message was helped by wonderful imagery, a monologue and melancholy music to help the mood!

As I've grown older I've realized that I'm not one for romantics. When I was younger, in middle school (ha) and high school, I figured I was going to be a great boyfriend! I always thought to myself how I would be a much better boyfriend then the boyfriends I heard girls gossiping over. I thought I'd be always understanding, charming, whatever else the perfect boyfriends from movies are like. But, looking to the past at the experience I have had as a boyfriend or even husband, I find I am not what I thought I'd be. This isn't to say I'm a bad husband or boyfriend, that is subjective though, but I am actually just a husband/boyfriend. Meaning, I'm not the 'sweep you off your feet' guy or the 'I'll beat you and harass you but you love me still' guy. I'm just your average boyfriend! if I were to judge myself, I'd say I can be insensitive sometimes and even negligent. I think sometimes I can sweet talk myself around the girl, but I'm not sure.

What makes me mention that is Benjamin Button. Who seemed to be a pretty romantic fellow.

To end this abruptly, I didn't right as much as I figured I would. Too busy ha!


Tuesday, December 23, 2008

Friday, December 19, 2008


Yesterday around noon time, Doe texted me on the computer and she asked me if I could pick her up from work because she needed to see her Aunt. I suppose you could say 'Great Aunt'. She is Doe's Grandmother's sister. But Doe calls her an aunt.

Also, before I got on, I don't think Doe would mind me talking about this. Actually, I know she wouldn't mind.

Anyways, her Aunt has been at the Winchester hospital for about the past month. I'm not even entirely sure what the issue was, I believe it was cancer that spread into her stomach. Either way, everyone knew she didn't have much time left.

Doe's father had called Doe as he was at the hospital and he told him that she probably only had a few hours left. Doe tried calling me but I left my phone at home! (My phone at home plays another inconvenient role later) After calling my phone a million times and trying to 411 my work, she had trouble since I guess my work isn't listed, Doe finally found my mobile aim address and texted my from her phone. I left immediately down 93 and 95! When I got to Doe's salon she was teary eyed and a little frantic.

After a bunch of traffic, we got to the hospital. I remembered the last time I was at this hospital was because Natty had gotten hit in the head at a show. Well, we went up elevators, down halls and finally to Doe's Aunt's room. Doe's Aunt, Madeline, was in the hospital bed. She looked pretty uncomfortable and in bad shape to be honest. Doe's actual 'aunt' was already there along with a bunch of other family members that I had never met. I felt like I shouldn't have been there. I didn't know Madeline very well, I didn't know these other family members very well and it seemed like a time where a 'stranger' like myself isn't wanted.

Doe was in the room with Madeline just staring at her and I stood outside looking in with some other members of the family. Specifically, Toni (Doe's aunt), an elderly woman (Madeline's sister), another older woman and older man (cousins I think Doe said). The two cousins and the sister seemd oddly 'regular' in the situation. But I guess that doesn't matter.

Here the page breaks off for calculated crystals
<<<
First-principles (PBE-GGA) data for an optimized crystal structure of Pa2PS3, as listed in Alexandria.

Values from the calculation:
**Raw total energy**: -7.49 eV per atom
**Formation energy without anion corrections**: -1357 meV per atom
**Space-group type**: No. 12
**Crystal system**: monoclinic

Geometry as POSCAR:
```
Pa2PS3
1.0
4.2891 0.0000 0.0000
-2.1445 9.2081 -1.2897
0.0000 -5.7075 7.9858
S P Pa
6 2 4
Direct
0.3951 0.7903 0.3701 S
0.6145 0.2290 0.1546 S
0.6049 0.2097 0.6299 S
0.1144 0.2289 0.4018 S
>>>

I didn't want to go into Madeline's room because I, again, didn't feel like I belonged in there at all. If anything I only wanted to go in and give Doe whatever comfort I could offer. When I did walk in I got a better look at Madeline. She looked older than I last remembered. Obviously. I remember I kept thinking "This is what Death is." but unfortunately not feeling any sort of sadness inside myself for what was happening. I got sad seeing people crying, but not so much when I saw Madeline so lifeless. I want to say it's because I didn't know her very well. But I also want to say that it's because I understand. Meaning that I understand it's just life and death. But, I can't say this because I'm ignorant to death. This was my first actual encounter with it. Face-to-face. I'm not sure if I'd feel different it was my grandmother or grandfather. Right now, I want to say I would not care as much as Doe or her family seemed to care. Maybe it's because I'm not very close to anyone in my family. But then when I think about people who I know I'm close to dying, I don't feel a huge amount of sadness. The lack of emotion there is definitely, undoubtedly because I'm not dealing with it right now. I've mentioned this before, but I know I'd be sad if I didn't really get to say good bye. Closure, you know?

Another thing I think about is when Ryan and Lane first lost their cats. I've also mentioned this before. I had never had any real pets. Ryan and Lane both had lost their cats and were pretty bummed out about it. At the time I think I felt similar apathy. Obviously, sad for Lane and sad for Ryan, but not really realizing what they were probably going through. I remember when Ryan decided to stay home for a couple nights to spend his last couple nights with Patches, I was being pretty selfish. I kept thinking to myself "Ryan is being stupid and should just come over" or something probably along the same lines. I didn't know how much pets could really mean to people. Obviously, not having three cats of my own I'd probably do the same thing Ryan did. I get sad even thinking about it. What I'm getting at is maybe I don't feel anything for Doe's aunt leaving because I've never had to deal with death.

Doe has apparently lost a lot of people in her life. I haven't lost anyone. I'd like to think I could accept it since it's just part of life and we have little impact on the world if one of us is removed. I think if people take a look at the bigger picture, everything else will be easier for them. Myself included.

For some reason I want to be that understanding about everything. Cold hard logic! People who know me know I'm not cold and even less logical. But maybe I want to be that way because I'm not that way. "The grass is always greener..." that kind of thing.

Anyways, I left right as Doe's other aunt from Vermont arrived. She was in terrible emotional shape. I saw as one person lost their composure everyone else followed. Even I got teary eyed. I wasn't even sure why. Empathy?

Even more so, I felt out of place and like I shouldn't have been around. Family members were hugging and crying just trying to comfort one another as I stood in the middle looking around trying to not look awkward. These are very selfish thoughts I realized, but for some reason I couldn't escape these glances that seemed to tell me "what are you doing here?". I suppose maybe I never got those kinds of glances and I'm making them up in my head, but you never know.

I left because I had been gone for two hours from work I think. I told everyone I'd be back and left back to work. This is where my phone at home created more 'issues'. When I got to work I found I had an e-mail to me telling me I was going to be late coming back from lunch. I was thinking, I wonder if Jason was CCed on this in secret. Because someones you can mail to multiple e-mail address without showing everyone who is CCed. Turns out he wasn't. Since he had no idea where I was. I had to explain that to him. I guess he even called Jaclyn asking where I was and she called me. But my phone was at home so it all didn't matter.

I worked until five, got Doe some food and went back to the hospital.

It was more of the same. Except this time I didn't have Doe with me. I went back to the room with food and I couldn't find Doe. She had apparently went outside to talk to her sister (Elizabeth, Doe's 21+ sister whom she had not talked to in a year and a half) so I had to wait for her. I stood outside of the room with Doe's grandfather. He's a nice old man who seemed humorously naive sometimes. He's not senile I don't think, but he says somethings that were funny but were surely not suppose to be. I don't know if Doe would think this is funny, but when her Grandfather arrived, he asked the doctor "Is she in a coma yet?" in a very innocent, old man way and I let out a mind smirk. Everyone quickly answered she wasn't in a coma. I was wondering what would make him ask that. I assumed it was because his friends who had died in the past probably went through comas before death.

[Materials data that have nothing to do with the entry]
=====
## Na2Sn3Pt4 (PBE)

Data for a relaxed structure of Na2Sn3Pt4.

As for the space group: Cmce, No. 64. For the calculated formation energy, the calculation gives -0.476 eV per atom. The crystal system is orthorhombic.

a b c (Å): 6.1096 7.4314 8.6965
angles (deg): 90.00 110.56 90.00
Fractional coordinates of all 18 atoms:
1 Na 0.9118 0.4025 0.8235
2 Pt 0.1741 0.7500 0.8481
3 Pt 0.1708 0.9816 0.3417
4 Pt 0.3292 0.4816 0.6583
5 Pt 0.6741 0.7500 0.8481
6 Sn 0.0000 0.0000 0.0000
7 Sn 0.0064 0.7500 0.5128
8 Pt 0.8259 0.2500 0.1519
9 Na 0.0882 0.5975 0.1765
10 Pt 0.8292 0.0184 0.6583
11 Sn 0.5064 0.7500 0.5128
12 Sn 0.5000 0.5000 0.0000
13 Pt 0.3259 0.2500 0.1519
14 Sn 0.4936 0.2500 0.4872
15 Na 0.4118 0.0975 0.8235
16 Pt 0.6708 0.5184 0.3417
17 Na 0.5882 0.9025 0.1765
18 Sn 0.9936 0.2500 0.4872
=====

I wait probably half an hour outside of the room waiting for Doe. During my wait, a priest came to the room to read Madeline her last rights. Her a circle around her, the priest and various family members held hands and prayed around her and then they proceeded to chat with the priest. They were chatting about Madeline and then sooner after other topics that had little to do with Madeline or even with death for that matter. I felt that it was odd hearing chatter and laughter coming from the room of a dying woman. I finally found Doe who was waiting for me in another room for some reason, thanks to her funny grandfather.

After eating and talking to her sister, Elizabeth, for a while we went back to Madeline's room where everyone was. We had got there just in time to see Madeline's doctor leave. I guess people discovered that Madeline skipped many doctor's appointments that could have very well 'saved' her life. But I was thinking, she's 73 and I don't think that I would personally want to extend my life anymore. If it were me, I wouldn't want to go through the trouble of therapy, the sitting in bed, the doing nothing, all so my family could pay the bill after. Madeline didn't do much. She just lived at her sister house spending whatever money she had on cigaretts and lottery tickets. I don't blame her, she was 73! I'm just sayinig if I were in her shoes I wouldn't want to go through all the hassle.

Anyways,now I'm in a room full of family members who are just talking around Madeline's bed. No one being especially quiet or anything like that. People began to reminisce about Madeline, but I was a little shocked at how quickly the conversation turned from Madeline to the television. Doe's Uncle, Greg (the sad, really depressed version of Ryan's Dad), was watching TV and a show where they were making food popped on. Greg started calling out "Hey Dad, dad, check it out." Greg started naming whatever foods they were putting into a pot and everyone seemed to turn to the tv and sort of give a hunger moan. Doe's grandfather saying "Ooooh, I can't watch it. I want to eat!". That merited another mind smirk from me. But I looked at Madeline and how she was unconscious, breathing heavy and everyone was just chatting.

Another thing I realized is that many people in the family never had great things to say about Madeline. Always saying things like "all she does is sit in bed and buy lottery tickets" or things along those lines. But I guess death resolves all that.

I guess it's all things I'm going to have to experience someday and then I'll really know what I feel.

I was going to end it there, but I figured I'd say something about Madeline from the short time I knew her.

Madeline was a seemingly senile, hard of hearing old woman who sort of reminded me of Mister Magoo. She could be crabby sometimes, but for some reason I felt most comfortable with her when I went to family gatherings. She never gave me any fake niceness I feel I have to exchange with the other family members. Not that I don't want to be nice, but it's easier to just be neutral.

I heard a lot of stories of Madeline, hearing that she lived a crazy life. I think Doe even said she had tattoos on her chest? I'd rather not think of elderly woman chest, but i think old people with tattoos are cool.

I'm not going to end it with RIP Madeline, because I don't find it proper for some reason.

Friday, December 5, 2008

Holidays, April Accident, Life

I haven't been posting as frequently as I used to or would like to. I still like blogging but I find that my free time is wasted doing other things. Mainly other more unproductive activities.

The end of the holidays are upon us! Thanksgiving has passed and Christmas is again around the corner. The pressures of gift giving is forced on me. I don't mind gift giving, it's that I'm awful at getting gifts. Maybe it's because I'm unobservant to want a particular person would enjoy as a gift. My Mother, Doe, Stacey, I have no idea what they'd want.

My Mother always says not to get her anything. I say this to her and we usually don't exchange gifts and I'm fine with this. But she often does something to make it a Christmas gift. She's a hard lady to shop for too because she's so picky about things. If it's not practical than its just taking up space and she'll most likely return it. So if I do get her a gift, I'd like it to be something she uses. Maybe warm clothing?

Doe says I don't need to get her anything but who doesn't say this? The thing is if I was walking through a store I might see something Doe would want. But only if I'm not looking for it, if that makes sense. Basically, I blank when I try to think of things that Doe would want.

It seems like I'm just trying to convince you people that I'm a terrible person/husband.

I still have to think of gifts to give to other people, like Doe's parents, friends? It's too expensive and I think gifts should be given spontaneously! Everyone is forced to buy things for other people because of Christmas. That said, the gifts don't mean as much, do they? If it were spontaneous, I would know I was being thought of.

Maybe I'm unappreciative of gifts comes from when I was young and my parents would tell me to make Christmas list and they said there were only going to get the first thing on the list. Also, I'm not sure if they told me to do this or I felt guilty about it, but I would never ask for anything over $50 dollars. I always wanted video game consoles and stuff like that but I'm pretty sure my parents would do that. Either way, as the Christmas' past with this gifting code, I soon lost interest and I didn't want to make my parents buy me a gift when it seemed so bothersome. So, one year I didn't ask for anything. I even remember making an empty list and putting in my stocking for my parents. When I went down that Christmas morning I found Stacey and Duc unwrapping gifts and things I felt left out I guess. Of course, I did it to myself, but I was still young (I think I was nine or ten?) and still selfish in that way where if someone has something I want something. I remember my parents still got me this odd gift though. It was a guitar. But not like a real guitar, one of those guitars with a bunch of keys on it and you just press them and they make noises. I think this made matter worse. I think I would have been better off with no gift, instead of this gift my parents got to probably make themselves feel better. But then I might be overlooking the "they were thinking about me" aspect and the "me being ungrateful" aspect. Either way, I felt sad about not getting a gift.

The next year though was the same thing from me, but I guess I cared less! So as the years went on Christmas just became another day.

But now as I'm older I do feel obligated to give gifts to people. Seeing as I have the means to. I know it should be out of the good of my heart, but I still feel like it's a task. I do like giving gifts and having people admire my gift! But they won't admire a gift that's shitty. I also don't like fake enthusiam. But maybe it's not fake? Maybe I'm one of those people who gives gifts and says right after "You don't like it do you? We can return it."

April Accident
So! I was in a car accident April 1st this past year. Blah blah blah, it's December and I'm still trying to get shit settled!

Well, it should be all settled now. I've been recieving collection agency notices since October and I've had to call my insurance agent, Lahey Clinic and my health insurance. Talk about annoying. And if you know me, I'm not so good on public speaking. So my conversations with these people are mumbles and a lot of 'Uh, oh!'.

Well, my car insurance agent told me a couple days ago that I shouldn't worry anymore and that she got everything settled. She said I shouldn't have to pay anything and I surely should be dealing with any of this 8 months since the accident.

General Life
Work has been 'good'. Depending how you like your work. I like my work to be semi-busy. Busy enough to make the day fly, but not so busy that I'm stressing over deadlines. Recently it's been the good kind of busy. Where I have shit to do everyday and I do it, and it's done.

We moved into a larger, more professional building. I like it a lot. It makes me feel professional. I just wish I was getting more money now. I'd like to live more comfortably, instead of living paycheck to paycheck!

I started putting money into my 401k too! So I actually am saving money. Doe seems to be doing fine, she always seems to have money to spend. In turn, I always have money to spend. It's unfortunately spent on food. I don't know why myself and others can't just not go out to eat. But there aren't many options.

I believe that our eating habits will change once we get into a house where we all live together. I won't fantisize about it here as I feel like I fantasize about it too much already!

Well, I guess I'm done for now, hopefully things are posted more frequently.